A few academic lifehacks I have learned from Paul Slovic or ”how to Save the life you can” Daniel Västfjäll
What would Paul do? ”Life hacking refers to any trick, shortcut, skill, or novelty method that increases productivity and efficiency, in all walks of life” Baz Luhrman ”Everybody's Free (to Wear Sunscreen)” (original essay by Mary Schmich) ”If I could offer you only one tip for the future, sunscreen would be it. The long-term benefits of sunscreen have been proved by scientists” - What would Paul’s advice be? (3 ”best of”)
1. Make the world a better place (as a person and as a scientist) Personal and professional interest in making the world better (e.g darfur genocide etc)
The collapse of compassion Slovic, 2007. JDM. The collapse of compassion Our capacity to feel (good or bad) is limited. Valuation depends on feelings (the affect heuristic). Lack of feeling leads to inaction as large losses of life occur. Collapse starts at n=2 (Västfjäll, Slovic, Mayorga & Peters, 2014)
Single child condition Rokia How much money would you donate to help save rokia?
Two children condition Rokia Moussa How much money would you donate to help save Rokia and Moussa?
The page is interrupted by crystal structures >
=====
Record 1
Computed, not measured: crystalline FePO4 at its relaxed geometry at the GGA+U level of DFT.

a b c (Å): 9.3313 5.3388 11.9882
angles (deg): 90.00 90.26 90.00
Closest atoms and distances in Å follow each position.
Space group C2 (No. 5)
Symmetry-distinct sites (fractional):
Fe (0.0000, 0.0000, 0.0000) (multiplicity 2)  4 O 1.89-1.91
Fe (0.2504, 0.2468, 0.6649) (multiplicity 4)  4 O 1.87-1.88
P (0.0000, 0.9962, 0.5000) (multiplicity 2)  4 O 1.54
P (0.2484, 0.7476, 0.8309) (multiplicity 4)  4 O 1.53-1.55
O (0.0932, 0.8249, 0.4265) (multiplicity 4)  1 P 1.54
O (0.0936, 0.1679, 0.5736) (multiplicity 4)  1 P 1.54
O (0.1173, 0.1892, 0.0976) (multiplicity 4)  1 P 1.55
O (0.1183, 0.8070, 0.9033) (multiplicity 4)  1 P 1.53
O (0.2088, 0.4712, 0.2436) (multiplicity 4)  1 P 1.54
O (0.2097, 0.5207, 0.7569) (multiplicity 4)  1 P 1.54

M_tot   29.98 Bohr magnetons per cell

---

Record 2
Computed, not measured: crystalline Fe2P4PbO14 at its relaxed geometry at the GGA+U level of DFT.

a b c (Å): 4.8761 7.2044 8.0172
angles (deg): 89.48 87.38 73.31
Closest atoms and distances in Å follow each position.
Space group P-1 (No. 2)
Symmetry-distinct sites (fractional):
Fe (0.0000, 0.0000, 0.0000) (multiplicity 1)  6 O 1.97-2.14
Fe (0.5000, 0.5000, 0.5000) (multiplicity 1)  6 O 1.98-2.10
P (0.0293, 0.3817, 0.7468) (multiplicity 2)  4 O 1.51-1.60
P (0.3847, 0.2290, 0.2034) (multiplicity 2)  4 O 1.51-1.62
Pb (0.0000, 0.0000, 0.5000) (multiplicity 1)  6 O 2.52-2.81
O (0.0852, 0.2003, 0.8520) (multiplicity 2)  1 P 1.51
O (0.1220, 0.6488, 0.4133) (multiplicity 2)  1 P 1.56
O (0.1859, 0.0958, 0.2069) (multiplicity 2)  1 P 1.55
O (0.1939, 0.4441, 0.1516) (multiplicity 2)  2 P 1.60-1.62
O (0.3026, 0.4364, 0.7042) (multiplicity 2)  1 P 1.52
O (0.3759, 0.8216, 0.9291) (multiplicity 2)  1 P 1.51
O (0.4859, 0.2425, 0.3835) (multiplicity 2)  1 P 1.56

---

Record 3
Computed, not measured: crystalline Fe2P4Pb3O17 at its relaxed geometry at the GGA+U level of DFT.

a b c (Å): 9.1699 9.1699 16.9683
angles (deg): 90.00 90.00 90.00
Closest atoms and distances in Å follow each position.
Space group P4_1 (No. 76)
Symmetry-distinct sites (fractional):
Fe (0.9998, 0.2612, 0.0000) (multiplicity 4)  6 O 2.00-2.06
Fe (0.2403, 0.4994, 0.2410) (multiplicity 4)  6 O 2.00-2.07
P (0.0075, 0.2279, 0.1988) (multiplicity 4)  4 O 1.55-1.57
P (0.0352, 0.2682, 0.8022) (multiplicity 4)  4 O 1.54-1.57
P (0.2306, 0.4659, 0.4385) (multiplicity 4)  4 O 1.54-1.57
P (0.2736, 0.4913, 0.0425) (multiplicity 4)  4 O 1.55-1.57
Pb (0.0777, 0.8468, 0.1375) (multiplicity 4)  5 O 2.46-2.54
Pb (0.1323, 0.6315, 0.8709) (multiplicity 4)  8 O 2.56-2.85
Pb (0.3374, 0.5768, 0.6027) (multiplicity 4)  4 O 2.45-2.58
O (0.0213, 0.7772, 0.3839) (multiplicity 4)  1 P 1.54
O (0.0469, 0.7193, 0.6172) (multiplicity 4)  1 P 1.55
O (0.0756, 0.3564, 0.2465) (multiplicity 4)  1 P 1.56
O (0.0775, 0.1281, 0.7549) (multiplicity 4)  1 P 1.56
O (0.0932, 0.6694, 0.2513) (multiplicity 4)  1 P 1.57
=====
Results from Västfjäll et al., 2014 Affect Donations “ how do you feel about donating to rokia [moussa][rokia & Moussa]?” -1 to 5
Fast empathy Google searches ”help refugees” How can we overcome psychic numbing and compassion collapse?
2. Never let old ideas/data die 7-8 yrs ago Paul revisited findings from: Fetherstonhaugh et al (1997): ”4500 were valued less when paired with small (11.000) or large (250.000) camp implying that all could not be helped” Small et al (2007): ”Donations to Rokia was reduced by half when paired with statistics” New data (then, 2007): ”1 Child was helped more than 1 out of 2 (undetermined)” New concept: Pseudoinefficacy People become demotivated to help the one that can be helped by awareness of the ones that cannot be helped
[Here the text breaks off for calculated crystals]
/*
Record 1
# GGA+U LaTb3Mo4O14, optimized geometry
data_LaTb3Mo4O14
_chemical_formula_sum 'La3 Tb9 Mo12 O42'
_cell_length_a 7.4980
_cell_length_b 7.4980
_cell_length_c 17.9933
_cell_angle_alpha 90.00
_cell_angle_beta 90.00
_cell_angle_gamma 120.00
_space_group_name_H-M_alt 'R -3 m'
_space_group_IT_number 166
_space_group_name_Hall '-R 3 2"'
loop_
_atom_site_label
_atom_site_type_symbol
_atom_site_fract_x
_atom_site_fract_y
_atom_site_fract_z
La1 La 0.0000 0.0000 0.0000
Tb1 Tb 0.0000 0.5000 0.5000
Mo1 Mo 0.0000 0.0000 0.5000
Mo2 Mo 0.0000 0.5000 0.0000
O1 O 0.0000 0.0000 0.1294
O2 O 0.0411 0.5205 0.1117
O3 O 0.0560 0.5280 0.3602
# MP2020-corrected energy in eV for the cell shown: -587.61
# Crystal system: trigonal

=====

Record 2
# GGA+U La2Te3MoO12, optimized geometry
data_La2Te3MoO12
_chemical_formula_sum 'La8 Te12 Mo4 O48'
_cell_length_a 7.483
_cell_length_b 11.829
_cell_length_c 13.712
_cell_angle_alpha 90.00
_cell_angle_beta 90.00
_cell_angle_gamma 90.00
_space_group_name_H-M_alt 'P n m a'
_space_group_IT_number 62
_space_group_name_Hall '-P 2ac 2n'
loop_
_atom_site_label
_atom_site_type_symbol
_atom_site_fract_x
_atom_site_fract_y
_atom_site_fract_z
La1 La 0.093 0.084 0.130
Te1 Te 0.031 0.250 0.380
Te2 Te 0.155 0.544 0.378
Mo1 Mo 0.147 0.750 0.096
O1 O 0.014 0.250 0.242
O2 O 0.025 0.569 0.599
O3 O 0.054 0.750 0.972
O4 O 0.076 0.626 0.162
O5 O 0.116 0.250 0.584
O6 O 0.174 0.001 0.972
O7 O 0.215 0.750 0.589
O8 O 0.228 0.542 0.781
# MP2020-corrected energy in eV for the cell shown: -529.50
# Crystal system: orthorhombic

~~~~~

Entry 1:
## Li3La5Ti6Nb2O26 (PBE)

Data for a geometry-optimized Li3La5Ti6Nb2O26 structure.

a = 5.5480 Å, b = 11.0862 Å, c = 17.1623 Å
α = 80.96°, β = 90.00°, γ = 90.00°
Positions (direct):
Ti  0.0018  0.4717  0.1151
Ti  0.9959  0.5895  0.6369
Ti  0.0041  0.0895  0.6369
Ti  0.5026  0.7215  0.1144
Ti  0.0018  0.0283  0.8849
Ti  0.4974  0.2215  0.1144
Ti  0.9982  0.9717  0.1151
Ti  0.5026  0.7785  0.8856
Ti  0.4974  0.2785  0.8856
Ti  0.0041  0.4105  0.3631
Ti  0.9959  0.9105  0.3631
Ti  0.9982  0.5283  0.8849
Li  0.7575  0.5072  0.5006
Li  0.2224  0.7500  0.5000
Li  0.2425  0.4928  0.4994
Li  0.2425  0.0072  0.5006
Li  0.7776  0.2500  0.5000
Li  0.7575  0.9928  0.4994
O  0.4882  0.8139  0.7690
O  0.2504  0.2945  0.3340
O  0.7545  0.9575  0.6575
O  0.2448  0.1590  0.8740
O  0.7605  0.8971  0.8808
O  0.7461  0.0385  0.3412
O  0.2491  0.7080  0.6583
O  0.5137  0.3716  0.5272
O  0.9825  0.0502  0.7697
O  0.2455  0.0425  0.3425
O  0.7545  0.5425  0.3425
O  0.2395  0.5999  0.1201
O  0.7552  0.6590  0.8740
O  0.5118  0.3139  0.7690
O  0.2395  0.9001  0.8799
O  0.0175  0.9498  0.2303
O  0.7552  0.8410  0.1260
O  0.5137  0.1284  0.4728
O  0.5118  0.1861  0.2310
O  0.9926  0.3891  0.4660
O  0.7605  0.0999  0.1201
O  0.7605  0.6029  0.1192
O  0.0074  0.8891  0.4660
O  0.0000  0.5000  0.0000
O  0.7509  0.2920  0.3417
O  0.0074  0.6109  0.5340
O  0.2539  0.5385  0.3412
O  0.7496  0.7945  0.3340
O  0.7635  0.1614  0.8793
*/
[Back to the text]
2. Never let old ideas/data die 2 Last couple of years Paul revisited findings from: Slovic 1975 (first data collected 1961!) and Tversky, Sattah and Slovic 1988 on ”prominence” (the more important dimension determine choice, even for options equated in value, eg. quality is more important than quantity) Latest : National security trumps life-saving in decisions (see Numbers and Nerves book) Even if life-saving and security are both highly valued, security is prominent in many decisons and may lead to inaction in life-saving decisions
Prominence thinking in political decisions
Workshop w/ high-level DMs: Can Decision Analysis improve decision making about mass atrocities?
3. Do research with people you like to hang out with Compassion week
In sum Paul: let’s hang out and discuss new and old data for many years to come! Still much that can be changed for the better in the world Many experiments to be run and data to collect to help us think! We haven’t yet understood the ”mysterious mind” Thank you for being the best colleague and friend!